Sunday, May 22, 2011

Hmmmm, can't believe I haven't already linked to this site, got some nice guides on it :-)

Submitted Guides

omp has done it again. He's submitted two more guides. The first is handy if you've tried some NTSC NES pads on your PAL console and they haven't worked. The next is a really tidy Battery Replacement for the DC.

Find them both on the Downloads page.

If you've got something you'd like to see on mmmonkey, get in touch

Molecular data, kept here for reference >
********
Molecular formula: C5H6N
Method: DFT, ωB97M-V with the def2-TZVPD basis set

Last column: Mulliken charge in e.
CARTESIAN COORDINATES (ANGSTROEM)
1 C 2.560 -0.247 0.357  -0.081
2 H 2.008 1.081 -1.275  0.305
3 C 3.355 -0.773 1.158  0.169
4 H 0.441 0.507 -0.292  0.504
5 H -2.820 1.615 0.720  0.318
6 C -2.313 0.890 0.106  0.079
7 H 4.111 -1.429 1.558  0.408
8 H -2.518 -1.344 0.284  0.207
9 H -2.789 -0.746 -1.449  0.237
10 C 1.636 0.462 -0.411  -0.289
11 N -1.238 0.419 -0.327  -0.373
12 C -2.434 -0.436 -0.431  -0.484

The frontier orbital gap is 6.48 eV. Its LUMO energy is -7.7 eV. As for the maximum force: 3.7 eV/A. Its energy relative to the best compared isomer or geometry (same formula, charge and spin) is 166.1 kcal/mol. The charge is +1.

Molecular formula: C20H23N3O3
Method: DFT, ωB97M-V with the def2-TZVPD basis set

Last column: Mulliken charge in e.
CARTESIAN COORDINATES (ANGSTROEM)
1 H -2.127 -2.539 -0.316  0.403
2 H -4.266 3.346 4.091  0.271
3 H 1.595 -1.866 -2.681  -0.140
4 C -1.115 -0.738 2.077  0.787
5 H 0.337 1.884 -3.426  0.383
6 H 2.328 0.652 -4.357  0.314
7 C 1.647 0.758 -2.239  0.054
8 O -2.490 -1.169 -2.149  -0.660
9 H 0.540 -0.374 -5.063  0.416
10 N 1.674 0.122 1.787  -0.834
11 H -2.468 4.938 4.571  0.320
12 C -2.653 1.832 3.422  -0.012
13 O -0.464 -1.664 -1.239  -0.187
14 H -0.327 1.403 -1.769  0.363
15 H -1.104 -3.629 -1.127  0.546
16 C -0.404 2.629 3.209  -0.092
17 C -0.792 3.807 3.816  -0.820
18 C -3.128 3.029 3.948  -0.609
19 C -1.319 1.588 3.060  0.531
20 H 3.287 -1.567 0.595  0.347
21 H -3.386 0.981 3.221  0.307
22 C -1.102 -2.745 -0.577  -0.841
23 H -0.094 -1.888 -4.361  0.368
24 H 1.993 -2.471 -0.181  0.201
25 C 0.289 -0.920 -4.127  -1.198
26 H 1.692 0.054 -1.422  -0.238
27 C -0.650 -0.170 -3.201  0.744
28 H -0.041 4.609 3.933  0.346
29 C -0.380 -2.891 0.802  -1.493
30 C 2.357 -2.050 0.761  -1.429
31 C -2.123 3.960 4.245  -0.358
32 C 2.364 0.105 -3.351  -0.699
33 C 0.730 0.830 2.336  0.055
34 C 1.655 -1.222 -3.665  -0.191
35 H 3.458 -0.168 -2.983  0.296
36 H 2.045 1.704 -1.976  0.393
37 C 0.216 1.041 -2.654  -1.187
38 O -2.236 -1.165 2.361  -0.717
39 C -1.262 -1.036 -2.074  0.205
40 C -0.041 -1.645 1.464  0.076
41 C 1.275 -1.161 1.416  1.351
42 H 2.580 -2.812 1.409  0.572
43 H 1.752 2.407 3.114  0.321
44 H -1.130 -3.261 1.592  0.363
45 H 0.380 -3.646 0.603  0.347
46 N -0.636 0.485 2.474  0.230
47 H -1.494 0.292 -3.782  0.298
48 H 2.212 -1.705 -4.400  0.493
49 N 0.824 2.045 2.814  0.004

The structure (SMILES) is Cc1nc2[nH]c3ccccc3n2c(=O)c1CCOC(=O)C1CCCCC1. The frontier orbital gap is 8.61 eV. Its LUMO energy is 0.6 eV. As for the maximum force: 5.2 eV/A. Its energy relative to the best compared isomer or geometry (same formula, charge and spin) is 70.0 kcal/mol. The charge is 0.

Molecular formula: C23H24N4O7W
Method: DFT, ωB97M-V with the def2-TZVPD basis set

Last column: Mulliken charge in e.
CARTESIAN COORDINATES (ANGSTROEM)
1 C -0.037 0.746 -3.671  0.511
2 H -0.451 2.331 -5.066  0.269
********

Saturday, May 21, 2011

Mainly Mega Drive 2 updates

FINALLY, I have updated my MD2 guide, got one for if you want to fit switches, and another if you want switchless.

FourX sent me some info about RGB'd N64's and Composite Sync, sits nicely with Link83's info.

I'm tired, there may have been other updates, I can't remember right now!

Sunday, May 15, 2011


First up, a chap called Dave emailed me to say that I'd got leg 23 mixed up with leg 21 in my Dreamcast Hacked BIOS guide, it was correct in the diagrams, but wrong in the text. This is corrected now.

Link83 has also submitted a lot of extra info on some of the guides, which is invaluable :-)

MD2 power plug adapter - supplied correct size

That's it for now, I have to play these things as well as take them apart you know!

Friday, May 13, 2011

Region Free Dreamcast!

I've finally got around to installing a flash chip into my Dreamcast and popping a Region Free BIOS on it, with a 3D startup screen. Anyway, have a look.

== Inserted here: quantum chemistry results ==
/*
The following is a quantum chemistry calculation of a 3-piece molecular cluster, C37H51FN5O5P overall in a non-equilibrium geometry, from OMol25.

Output
Calculated total energy = -2531.32322 a.u.
LUMO level = -0.9 eV
Spin multiplicity = 3

Last columns: bonded neighbours and bond lengths (Å).
CARTESIAN COORDINATES (ANGSTROEM)
1 C 0.6184 0.1266 5.1184  C2 1.208, H28 1.084
2 C -0.2790 -0.5984 5.4777  C1 1.208, C3 1.483
3 C -1.5940 -1.2688 5.6260  C2 1.483, C4 1.421, C18 1.433
4 C -1.8902 -2.4516 4.8964  C3 1.421, N5 1.402, C9 1.449
5 N -0.9816 -3.0853 4.0363  C4 1.402, C6 1.285
6 C -0.5547 -2.3657 3.0617  N5 1.285, C7 1.529, C8 1.550
7 C -1.4146 -1.5258 2.1159  C6 1.529, H29 1.105, H30 1.111, H31 1.115
8 C 0.9739 -2.3425 2.8063  C6 1.550, H32 1.107, H33 1.106, H34 1.111
9 C -3.1869 -3.0760 5.0638  C4 1.449, C10 1.512, C16 1.398
10 C -3.5793 -4.3577 4.3647  C9 1.512, C11 1.409, N15 1.340
11 C -4.7018 -4.4087 3.5152  C10 1.409, C12 1.416, H35 1.103
12 C -5.1357 -5.5612 2.8158  C11 1.416, C13 1.434, H36 1.094
13 C -4.3349 -6.7202 3.0855  C12 1.434, C14 1.410, H37 1.099
14 C -3.2603 -6.5484 3.9828  C13 1.410, N15 1.325, H38 1.107
15 N -2.8447 -5.4528 4.6022  C10 1.340, C14 1.325
16 C -4.1060 -2.4543 5.9150  C9 1.398, C17 1.454, C26 1.545
17 C -3.7791 -1.2425 6.6484  C16 1.454, C18 1.413, C22 1.537
18 C -2.5074 -0.6386 6.5334  C3 1.433, C17 1.413, P19 1.855
19 P -2.0585 0.8753 7.5070  C18 1.855, C20 1.887, O21 1.672
20 C -2.3510 2.2871 6.2902  P19 1.887, H39 1.105, H40 1.105, H41 1.109
21 O -3.0966 1.1081 8.7966  P19 1.672, H42 0.973
22 C -5.0343 -0.8700 7.4529  C17 1.537, O23 1.189, N24 1.474
23 O -5.4907 0.1695 7.8051  C22 1.189
24 N -5.6521 -2.1923 7.6577  C22 1.474, F25 1.395, C26 1.472
25 F -4.9061 -2.9909 8.5242  N24 1.395
26 C -5.5492 -2.8190 6.3296  C16 1.545, N24 1.472, O27 1.188
27 O -6.4232 -3.3965 5.7697  C26 1.188
28 H 1.2987 0.9021 4.7854  C1 1.084
29 H -2.4499 -1.3582 2.4655  C7 1.105
30 H -1.4355 -1.9252 1.0793  C7 1.111
31 H -0.9383 -0.5207 2.0325  C7 1.115
32 H 1.2933 -1.4468 2.2404  C8 1.107
33 H 1.4892 -2.3168 3.7843  C8 1.106
34 H 1.3313 -3.2583 2.2880  C8 1.111
35 H -5.2849 -3.4813 3.3865  C11 1.103
36 H -6.0100 -5.5787 2.1584  C12 1.094
37 H -4.5632 -7.6841 2.6090  C13 1.099
38 H -2.6782 -7.4642 4.2013  C14 1.107
39 H -3.1107 2.0130 5.5360  C20 1.105
40 H -2.5969 3.1954 6.8690  C20 1.105
41 H -1.3745 2.4111 5.7786  C20 1.109
42 H -3.7291 1.7955 8.5250  O21 0.973
43 C 3.2689 -0.9490 -2.7427  C44 1.545, H54 1.091, H55 1.088, H56 1.092
44 C 1.9771 -0.9627 -1.8958  C43 1.545, C45 1.532, N49 1.493, C53 1.536
45 C 2.0597 -2.0975 -0.8697  C44 1.532, C46 1.526, H57 1.095, H58 1.093
46 C 1.9216 -3.4796 -1.5024  C45 1.526, C47 1.527, H59 1.094, H60 1.093
47 C 0.6549 -3.5708 -2.3494  C46 1.527, C48 1.536, H61 1.093, H62 1.096
48 C 0.4878 -2.4243 -3.3578  C47 1.536, N49 1.492, C51 1.544, C52 1.537
49 N 0.7740 -1.0823 -2.7709  C44 1.493, C48 1.492, O50 1.313
50 O -0.2730 -0.7194 -2.0675  N49 1.313
*/
== End of the quantum chemistry results ==

Made it clearer in my Saturn guides which pins from the power supply have which voltages on.

I've added VGA scanlines to a Dreamcast VGA box, guide to follow soon.

Finally, the creator of GameSniped emailed me to ask for a link, the site has a lot of interesting Retro gaming bits of kit on it (and some current generation stuff). I like it a lot :-)

Saturday, May 7, 2011

VGA Scanlines Guide

Today I decided to add some more detail to my Scan Line Generator guide, with more photos and better descriptions.

I noticed a small error in my wiring diagram for adding the Scan Line Generator into the VGA Upscaler (I had the Horizontal and Vertical Sync labels swapped), apologies if this caused you some trouble.


A few small updates

Found a link to a great modding site that I used a long time ago to mod my GameBoy Color.

Looks like Console Passion have started selling Switchless Mod Kits, very handy if you don't have or want a programmer.

Made a couple of additions to my RGB VGA Scaler guide after I followed it to make another cable up for it.

Hopefully coming this weekend I plan on getting all the notes together that I've made regarding different chips on my Willem Programmer, I use this to program the Switchless Mod chips, PSone chips, Mega CD BIOS and once for a Neo Geo AES (which I sadly sold).

Monday, May 2, 2011

RGB Cables

I'm not keen on making cables anymore, and thanks to the forums at NTSC-UK I found another site that not only supplies RGB cables, they specialise in them, pretty decent prices too.

RetroGamingCables - have a look.

(now added to links page)

The following is a quantum chemistry calculation of a 12-piece molecular cluster, C56H114N6O20 overall in a non-equilibrium geometry, from OMol25.

For the calculated total energy, the calculation gives -109797.4825 eV. The calculation puts the largest force on an atom at 9.17 eV/A. Its spin multiplicity is 2. The net charge is -1. The LUMO energy (spin up / spin down) comes out at -0.0984 / -0.0984 hartree. The energy above the lowest of the compared OMol25 structures with the same formula, charge and spin is 144.2 kJ/mol. For the HOMO energy (spin up / spin down), the calculation gives -4.5 / -4.5 eV. Its frontier orbital gap (spin up / spin down) is 1.812 / 1.813 eV.

Geometry (Å):
C (3.4608, 4.8866, 1.7877)
C (2.8425, 5.3164, 0.4558)
C (1.4138, 5.8235, 0.8029)
C (1.1838, 7.1683, 1.5854)
C (1.7279, 8.3343, 0.7910)
C (3.1474, 8.1253, 0.2209)
N (3.5598, 6.6453, -0.0945)
O (4.8509, 6.4492, -0.6562)
C (3.9964, 8.7608, 1.2502)
C (3.0632, 8.8998, -1.0937)
C (2.8374, 4.2803, -0.5747)
H (2.8201, 4.3344, 2.4752)
H (3.7369, 5.8299, 2.2591)
H (4.3666, 4.3143, 1.5873)
H (0.8337, 5.0390, 1.2888)
H (0.7666, 5.8056, -0.0739)
H (1.5621, 7.2431, 2.6049)
H (0.1139, 7.3603, 1.6661)
H (1.6439, 9.2407, 1.3906)
H (1.0129, 8.5750, 0.0043)
H (3.8445, 8.2394, 2.1953)
H (3.8063, 9.8239, 1.3981)
H (5.0526, 8.6134, 1.0249)
H (4.0822, 9.0955, -1.4275)
H (2.5971, 9.8850, -1.0816)
H (2.5072, 8.4933, -1.9385)
H (3.7476, 3.7249, -0.8012)
H (2.4912, 4.7082, -1.5155)
H (2.2189, 3.4338, -0.2763)
C (3.7161, -5.3069, -2.1947)
C (4.5475, -4.6570, -1.1063)
C (3.5501, -3.4967, -0.4360)
C (3.9067, -3.0968, 0.9035)
C (4.2147, -4.3048, 1.8775)
C (5.3426, -5.3048, 1.3628)
N (4.8837, -5.7174, -0.0085)
O (5.3502, -6.9489, -0.4707)
C (5.2688, -6.4279, 2.3426)
C (6.7224, -4.6643, 1.4123)
C (5.8865, -4.0970, -1.7275)
H (3.6535, -4.7698, -3.1412)
H (2.6664, -5.4726, -1.9520)
H (4.0782, -6.3131, -2.4059)
H (2.5183, -3.8425, -0.4980)
H (3.7345, -2.6241, -1.0627)
H (3.1666, -2.4813, 1.4150)
H (4.8067, -2.5082, 0.7253)
H (3.2073, -4.6269, 2.1410)
H (4.5028, -3.7309, 2.7583)
H (5.3780, -6.2480, 3.4121)
H (6.0931, -7.1171, 2.1593)
H (4.3570, -7.0043, 2.1864)
H (7.4821, -5.1620, 0.8097)
H (6.9770, -4.7033, 2.4714)
H (6.6508, -3.6161, 1.1220)
H (6.3935, -4.8799, -2.2916)
H (6.5849, -3.7122, -0.9844)
H (5.6183, -3.2386, -2.3433)
C (3.7187, -0.4677, 3.6517)
C (3.9757, -1.1209, 5.0483)
C (3.0668, -2.4000, 5.1940)
N (2.8975, -2.7940, 6.7220)
C (4.2354, -2.9939, 7.4834)
C (2.1719, -4.1674, 6.8607)
C (0.8071, -3.9873, 7.6629)
C (1.1347, -2.7364, 8.3669)
C (1.9162, -1.8123, 7.4598)
H (2.6604, -0.2456, 3.5148)
H (3.9516, -1.2561, 2.9360)
H (4.2468, 0.4737, 3.4999)
H (3.6354, -0.4287, 5.8185)
H (5.0548, -1.2591, 5.1151)
H (3.3971, -3.2799, 4.6419)
H (2.0992, -2.1905, 4.7381)
H (3.8989, -3.4860, 8.3959)
H (4.8992, -2.1328, 7.5606)
H (4.8055, -3.6835, 6.8609)
H (2.8590, -4.8671, 7.3364)
H (1.8617, -4.5101, 5.8736)
H (0.6789, -4.8703, 8.2890)
H (-0.0256, -3.8644, 6.9704)
H (1.6775, -2.9279, 9.2926)
So much for the quantum chemistry results:


Another N64 RGB mod

I saw a different NTSC N64 RGB Mod using a new Amp. I had to try it, and I really like it! If I get another PC Engine, I'll try it with that also :-)


I've re-read some of my newer guides, and corrected a few typo's, made some corrections and added some photo's to a few newer and older guides. I do plan on doing this to a few of my current guides (time/money permitting!)

These were changed..

Added info on an alternative MD switchless mod that detects if the reset button sends 5v or GND to reset the console (much much easier and tidier than my previous bodge job!)

Added some tips on how to make holes for VGA sockets, and what I do so that I don't get my screws mixed up.

I hope to get my new N64 RGB Amp guide on here very soon.


Some new submitted guides.

I was recently contacted by another a nice chap called omp, who made some fantastic guides for me to share with you.

First up, the Master System 2 Power LED, this is a very tidy solution for the Sega Console. It looks absolutely perfect. I want a SMS2 now just so I can try this out!

Next, an alternative SNES Switch Free Region Mod, a very tidy solution for tricking the SNES region lockout.

Brilliant work. Thanks :-)

Updated Links Page

I've added some links recently to various sites, including repair info, other modifications etc. Anyway have look around these sites...

If you think I'd be interested in a site, let me know